1 Short overview of the legal and institutional framework of protected sites, existing ecological networks Short overview of the legal and institutional framework of protected sites, existing ecological networks Session 2 Kosovo REReP regional meeting on “ Towards Natura 2000 in South Eastern Europe ” May 29th, 2009 Sarajevo, Bosnia and Herzegovina
2 Status of legal framework of protected sites and existing ecological networks The basic law for protected areas and biodiversity is the Law on nature conservation (2006/22) with number of by laws and regulations. Law on “Sharri Mountains” National Park (13/86); Law on Strategic Environmental Assessment nr.003 – ; Law on Environment protection no. 03/L ; Law on Environmental Impact Assessment no. 006 – ; Law on Genetically Modified Organisms no.03/L – ; Law on Forest (2003/6 and 2004/40); Law on hunting (2006/41); Law on Fishery and Aquaculture (2006/58); Strategic documents: Kosovo Strategy for Environment and Sustainable Development 2005 – 15 with Action Plan
3 Status of legal framework of protected sites and existing ecological networks Kosovo Assembly as highest legislative body with functional commission for Agriculture and Environment Government – consisted by 14 Ministries Ministry of Environment and Spatial Planning (MESP) - responsible to create policies, implement laws and monitoring in environment including nature conservation and biodiversity. Structures under MESP Division for Nature Protection, Institute for Nature Protection (within KEPA), National Park Administration Structures under Ministry of Agriculture, Forestry and Rural Development: Department of forestry Structures under Ministry of Culture youth and Sport: Nature Museum
4 Status of legal framework of protected sites and existing ecological networks The national network of protected areas is consisted by 75 nature protected areas with total surface ha (4,25% of Kosovo territory). Nature reserves 11; National Park 1; Nature Monument 59; Regional Park 2; and Forestry park 2. Proposed areas for protection are 195 including a new National Park.
5 Ongoing regional and cross-border projects “Enhancing Tran boundary Biodiversity Management in South Eastern Europe” United Nations Environmental Programme (UNEP), Framework Convention on the Protection and Sustainable Development of the South East European Mountain Region
6 Proposals and planned projects Initiative “Bjeshket e Nemuna (KS) – Prokletije (MN) and Alpet Shqiptare (AL)” as Tran boundary Protected Area (TBPA). Initiative “Mali Sharr (KS) - Korabi (AL) and Shara mountain (MK) as TBPA. “Sustaining Rural Communities and their Traditional Landscapes through Environmental Governance in Tran boundary Protected Areas (TBPA) of the Dinaric Arc” with support from Ministry of Foreign Affairs of Finland
7 Future priorities Adoption of New law on Nature conservation coherent with EU Directives and Regulations; Further detailed research of Natura 2000 sites Further monitoring of Natura 2000 species and habitat types Adoption of Strategy and Action Plan on Biodiversity Clarification of competencies and improvement of cooperation
8 Preliminary identification of Natura 2000 sites in Kosovo - Main Biodiversity hot spots and State of Nature Report published with support of EU and GTZ.
........
[1]
Diffraction record for PuP2H2CO6. The XRD peak list is calculated, not measured: it uses a PBE-relaxed structure and CuKα.
Kinematic intensities with the Lorentz-polarization factor, no thermal factor.

Top 10 peaks for 2θ = 10–80°, low angle first:
2theta  I_rel
12.79  1000
17.87  258
22.04  594
22.67  422
26.11  311
26.26  370
31.53  408
34.68  201
36.64  180
43.26  190

Cell and atoms:
a = 8.1217 Å, b = 8.1217 Å, c = 5.4205 Å
α = 102.13°, β = 102.13°, γ = 116.86°
Fractional positions:
Pu1 0.2334 0.7666 0.0000
Pu2 0.7666 0.2334 0.0000
P1 0.1345 0.3674 0.6322
P2 0.3674 0.1345 0.6322
P3 0.6326 0.8655 0.3678
P4 0.8655 0.6326 0.3678
H1 0.0972 0.0972 0.7619
H2 0.3177 0.3177 0.9776
H3 0.6823 0.6823 0.0224
H4 0.9028 0.9028 0.2381
C1 0.2274 0.2274 0.7644
C2 0.7726 0.7726 0.2356
O1 0.0085 0.3914 0.8019
O2 0.0168 0.2604 0.3292
O3 0.2604 0.0168 0.3292
O4 0.3008 0.5827 0.7058
O5 0.3914 0.0085 0.8019
O6 0.4173 0.6992 0.2942
O7 0.5827 0.3008 0.7058
O8 0.6086 0.9915 0.1981
O9 0.6992 0.4173 0.2942
O10 0.7396 0.9832 0.6708
O11 0.9832 0.7396 0.6708
O12 0.9915 0.6086 0.1981

---

[2]
Diffraction record for PuUP4H4C2O16. The XRD peak list is calculated, not measured: it uses a PBE-relaxed structure and CuKα.
Kinematic intensities with the Lorentz-polarization factor, no thermal factor.

Top 10 peaks for 2θ = 10–80°, low angle first:
2theta  I_rel
13.20  378
15.21  1000
16.59  204
17.44  213
18.09  195
20.50  771
20.71  196
23.75  531
28.21  329
42.02  294

Cell and atoms:
a = 5.6221 Å, b = 20.3385 Å, c = 7.2133 Å
α = 90.00°, β = 99.96°, γ = 90.00°
Fractional positions:
Pu1 0.1840 0.2500 0.1529
Pu2 0.8160 0.7500 0.8471
U1 0.0000 0.0000 0.5000
U2 0.0000 0.5000 0.5000
P1 0.3033 0.6351 0.7844
P2 0.3033 0.8649 0.7844
P3 0.4048 0.1216 0.8191
P4 0.4048 0.3784 0.8191
P5 0.5952 0.6216 0.1809
P6 0.5952 0.8784 0.1809
P7 0.6967 0.1351 0.2156
P8 0.6967 0.3649 0.2156
H1 0.2800 0.5523 0.0170
H2 0.2800 0.9477 0.0170
H3 0.4508 0.0485 0.0861
H4 0.4508 0.4515 0.0861
H5 0.5492 0.5485 0.9139
H6 0.5492 0.9515 0.9139
H7 0.7200 0.0523 0.9830
H8 0.7200 0.4477 0.9830
C1 0.4267 0.5812 0.9744
C2 0.4267 0.9188 0.9744
C3 0.5733 0.0812 0.0256
C4 0.5733 0.4188 0.0256
O1 0.0342 0.7500 0.1340
O2 0.0952 0.6750 0.8480
O3 0.0952 0.8250 0.8480
O4 0.1851 0.2500 0.4030
O5 0.1887 0.0107 0.3225
O6 0.1887 0.4893 0.3225
O7 0.2094 0.5916 0.6148
O8 0.2094 0.9084 0.6148
O9 0.2432 0.0685 0.7115
O10 0.2432 0.4315 0.7115
O11 0.2641 0.1787 0.8952
O12 0.2641 0.3213 0.8952
O13 0.4256 0.6543 0.2978
O14 0.4256 0.8457 0.2978
O15 0.4945 0.1814 0.2530
O16 0.4945 0.3186 0.2530
O17 0.5055 0.6814 0.7470
O18 0.5055 0.8186 0.7470
O19 0.5744 0.1543 0.7022
O20 0.5744 0.3457 0.7022
O21 0.7359 0.6787 0.1048
O22 0.7359 0.8213 0.1048
O23 0.7568 0.5685 0.2885
O24 0.7568 0.9315 0.2885
O25 0.7906 0.0916 0.3852
O26 0.7906 0.4084 0.3852
O27 0.8113 0.5107 0.6775
O28 0.8113 0.9893 0.6775
O29 0.8149 0.7500 0.5970
O30 0.9048 0.1750 0.1520
O31 0.9048 0.3250 0.1520
O32 0.9658 0.2500 0.8660

---

[3]
........
The records of crystals stop here =
9 Short overview of regional and cross-border projects, future priorities Thank you for attention Ismail Hetemaj – Head of Nature Protection Division, DoE - MESP & Miradije Gerguri – Chief of Nature value sector